Nano Materials and Devices Laboratory

Invited Talks & Lectures:
2025 - "Nanomaterials in Optoelectronic Devices" IIT-ISM Dhanbad (Malaviya Mission Teacher Training Programme), India.
2024 - "2D materials in Optoelectronic Devices" IIT-ISM Dhanbad (Faculty Development Program), India.
- - -
(1)
Computed, not measured: an optimized crystal structure of Ba6MgAg5 at the PBE-GGA level of DFT.

Results
- Magnetic moment: 0.000 μB per cell
- ΔE_f: -0.19 eV/atom

Unit cell a=5.8625 b=17.6447 c=8.3429 alpha=90.00 beta=90.00 gamma=90.00
Space group Cmmm (No. 65)
Asymmetric unit:
Ba 0.0000 0.0000 0.2398 (multiplicity 4)
Ba 0.0000 0.3294 0.2485 (multiplicity 8)
Mg 0.0000 0.5000 0.5000 (multiplicity 2)
Ag 0.0000 0.1563 0.5000 (multiplicity 4)
Ag 0.0000 0.1674 0.0000 (multiplicity 4)
Ag 0.0000 0.5000 0.0000 (multiplicity 2)

(2)
Computed, not measured: an optimized crystal structure of HoPaPd6 at the PBE-GGA level of DFT.

Results
- Magnetic moment: 0.223 μB per cell
- ΔE_f: -0.88 eV/atom

Unit cell a=4.1313 b=4.1313 c=8.2511 alpha=90.00 beta=90.00 gamma=90.00
Space group P4/mmm (No. 123)
Asymmetric unit:
Ho 0.0000 0.0000 0.0000 (multiplicity 1)
Pa 0.0000 0.0000 0.5000 (multiplicity 1)
Pd 0.0000 0.5000 0.2547 (multiplicity 4)
Pd 0.5000 0.5000 0.0000 (multiplicity 1)
Pd 0.5000 0.5000 0.5000 (multiplicity 1)

(3)
Computed, not measured: an optimized crystal structure of CaAcTmTl at the PBE-GGA level of DFT.

Results
- Magnetic moment: 2.866 μB per cell
- ΔE_f: 0.08 eV/atom

Unit cell a=8.1224 b=8.1224 c=8.1224 alpha=90.00 beta=90.00 gamma=90.00
Space group F-43m (No. 216)
Asymmetric unit:
Ca 0.0000 0.0000 0.0000 (multiplicity 4)
Ac 0.2500 0.2500 0.7500 (multiplicity 4)
Tm 0.0000 0.0000 0.5000 (multiplicity 4)
Tl 0.2500 0.2500 0.2500 (multiplicity 4)
- - -
### Back to the page
2024 - "van der Waals Stacking of 2D Materials" Anna University, India.
2024 - "Challenges and Opportunities in 2 D Material" Indian Institute of Technology Bombay, India.
2023 - "2D Materials and its Future" Korea Tech, South Korea.
2023 - "Low-Dimensional Materials and its Application" Indian Institute of Technology, Kharagpur India.
2023 - "2D Innovations in Next-Generation Devices" Indian Institute of Technology Jodhpur
2022 - "Nanoscience and Nanotechnology" Chung Yuan Christian University, Taiwan.
2021 - “Atomically Thin Material for High-Performance Optoelectronic Devices” Indian Institute of Science, India.
2021 - "Graphene and its Future Electronic Devices" Chung Yuan Christian University, Taiwan.
2021 - “Light and Matter Interaction in Novel 2D Atomically Thin Films” Skolkovo Institute of Science and Technology, Russia.
2020 - "Growth of Single Crystals: Vapor, Liquid, Solid Phase Crystallization" Chung Yuan Christian University, Taiwan.
Conferences & Symposium Meetings :
[* Corresponding Author]
27. R. K. Ulaganathan*, P. K. Roy, C.-T. Liang, R. Sankar*, “High-Performance Photodetector and Angular-Dependent Random Lasing from Long- Chain Organic Diammonium Sandwiched 2D Hybrid Perovskite Non-linear Optical Single Crystal” International Workshop on Transport and Optics in Topological Systems (TOTS-2024), Taipei, Taiwan.
26. D. I. Miakota, G. Ghimire, F. L. Larsen, R. Malureanu, R. K. Ulaganathan, S. Canulescu “Alkali-assisted synthesis of multilayer crystalline MoS2 nanoribbons with 2D edges, and Schottky barrier observation on MoS2 nanoribbon-Au/Cr junction” 2D Transition Metal Dichalcogenides-2024, Hongkong.
25. A. Subramanian, V. Thirunavukkarasu, R. K. Ulaganathan*, R. Sankar, W. S. Lew, C.-Y. Lin, “Photoconduction Properties in Germanium Sulfide Nanosheets on Rigid and Flexible Substrates” 8th IEEE Electron Devices Technology & Manufacturing Conference-2024, Bangalore, India.
24. G. Ghimire, R. K. Ulaganathan, D. I. Miakota,S. Canulescu, “MoS2 Nanostructures with Tailored Dimensionality.” Materials Research Society (MRS) Spring Meeting & Exhibit-2023, San Francisco, United States.
23. R. K. Ulaganathan, G. Ghimire, D. I. Miakota,S. Canulescu, “pMoOx-nMoS2 Heterojunction Assembly for Tunable and Efficient Optoelectronic Devices.” 4th European Congress on Graphene & 2D Materials-2022, Paris, France.
22. G. Ghimire, R. K. Ulaganathan, D. I. Miakota,S. Canulescu, “Quasi One-Dimensional MoS2 Nanoribbons” 12th European Conference and Exhibition in Graphene and 2D Materials-2022, Aachen, Germany.
21. G. Ghimire, R. K. Ulaganathan, D. I. Miakota, S. Engberg, S. Canulescu, “Light Harvesting in MoS2 Semiconducting Homostructures” 12th Hybrid European Kesterite Worshop-2022, Lyngby, Denmark.
20. D. I. Miakota, G. Ghimire, F. F. Bertoldo, R. K. Ulaganathan, R. U. Raymond, B. G. David, S. L. J. Engberg, F. B. Fabian, K. S. Thygesen, S. Canulescu, “Laser-assisted Synthesis of 2D Quantum Materials and Heterostructures” 16th International Conference on Laser Ablation, Matsue, Japan.
19. T. P. Lu, M. X. Loi, J. J. Yeh, A. Subramanian, P. H. Chiu, C. H. Wu, H. W. Liu, R. K. Ulaganathan, C. Y. Lin, “Electrical Characteristics of InSe-based Field-effect Transistors” International Conference on Applied System Innovation (IEEE)-2022, Nantou, Taiwan.
18. D. I. Miakota, G. Ghimire, R. K. Ulaganathan, R. U. Raymond, B. G. David, S. L. J. Engberg, S. Canulescu, “A Potential Approach to Grow Vander Waals Heterostructures based on Pulsed laser Deposition of Solid Oxide Precursors for Thin Film Photovoltaics” European Materials Research Society (EMRS)-2022, France.
17. D. I. Miakota, G. Ghimire, R. K. Ulaganathan, R. U. Raymond, B. G. David, S. L. J. Engberg, F. B. Fabian, K. S. Thygesen, S. Canulescu, “Two-Dimensional Tungsten Disulfide Monolayers Synthesized from Solid Oxide Precursor Grown by Pulsed Laser Deposition” Materials Research Society (MRS) Fall Meeting-2021, Boston, United States.
16. R. K. Ulaganathan, R. Sankar, F. C. Chou*, “High-Performance Flexible Broadband Photodetectors Based on 2D Hafnium Selenosulfide Nanosheets” CCMS Annual Meeting 2020, Taipei, Taiwan-“Honorable Mention Award.”
15. A. Kumar, R. K. Ulaganathan, R. Sankar, F. C. Chou, X. Gao*, “Effect of Oxygen Adsorption on Electron Transport in Few-Layer InSe FETs” American Physical Society (APS) Annual Meeting-2019, March 4-8th, Boston, United States.
14. R. K. Ulaganathan, T. P. Chen, C. M. Raghavan, R. Sankar, C. W. Chen, F. C. Chou*, “Stable Two-dimensional Ruddelsden-Popper Hybrid Lead Iodide Perovskites for Optoelectronic Applications” Annual Meeting of Centre of Atomic Initiatives for New Materials-2018, November 16th, Taipei, Taiwan.
13. K. Viraj, S. Sucharitakul, R. K. Ulaganathan, R. Sankar, F. C. Chou, X. Gao*, “Tuning Spin-orbit coupling in Few-layer InSe” American Physical Society (APS) Annual Meeting 2018, March 5-9th, Los Angeles, United States.
12. Chang-Yu Lin*, R. K. Ulaganathan, Raman Sankar, and Fang-Cheng Chou, “The Metal-Contacts on Graphene-like Layered Materials” IEEE ICASI-2017, May 13-17th, Sapporo, Japan.
11. R. K. Ulaganathan, Y. T. Chen*, “Novel two-dimensional materials for the Transistor, Photodetector, and Light-emitting Device Applications” Annual Graduate Symposium, Department of Chemistry-2016, June 11th, Taipei, Taiwan-“Awarded Popular Poster.”
10. S. Sucharitakul, M. Liu, R. K. Ulaganathan, R. Sankar, F. C. Chou, Y. T. Chen, X. Gao*, “Few-Layer III-VI and IV-VI 2D Semiconductor Transistors” American Physical Society (APS) March Meeting-2016, March 14-18th, Baltimore, United States.
9. R. K. Ulaganathan, Y. T. Chen*, “High Photosensitivity and Broad Spectral Response of Multi-layered Germanium Sulfide Transistors” Materials Research Society (MRS) Spring Meeting and Exhibit-2016, March 28th-April 1st Phoenix, United States.
8. R. K. Ulaganathan, Y. T. Chen*, “Optoelectronics and Energy-Related Applications of Two-Dimensional Materials” International Nanotechnology Conference and Expo-2016, April 4-6th, Baltimore, United States.
7. R. K. Ulaganathan, Y. T. Chen*, “New Two-Dimensional Semiconductor and Their Potential Opto-Electronic Applications” SF Nano Annual Meeting-2016, December 12-14th, Paris, France.
6. R. K. Ulaganathan, Y. Y. Lu, C. J. Kuo, S. R. Tamalampudi, R. Sankar, F. C. Chou, Y. T. Chen*, “High Photosensitivity and Broad Spectral Response of Multi-layered Germanium Sulfide Transistors” 11th International Conference and Expo on Nanoscience & Molecular Nanotechnology-2016, October-20-22nd, Rome, Italy.
5. R. K. Ulaganathan, Y.T. Chen*, “A Highly Photoresponsive Multi-Layered Germanium Sulfide Photodetector” Annual meeting of Nanoscience and Nanotechnology Program-2016, May, Taipei, Taiwan-“Selected in Top 10 Best Poster.”
4. S. Sucharitakul, N. Goble, R. K. Ulaganathan, R. Sankar, F. C. Chou, Y. T. Chen, X. Gao*, “Field-effect vs. Hall Mobility in Back-gated Multi-layered InSe FETs” American Physical Society (APS) March Meeting-2015, March 2-6th, San Antonio, United States.
3. R. K. Ulaganathan, Y. T. Chen*, “A Novel Two-dimensional Misfit Layered Material for Nanoelectronics Devices” Annual meeting of Nanoscience and Nanotechnology Program 2015, May, Taipei, Taiwan-“Selected inTop 10 Best Poster.”
2. R. K. Ulaganathan, K. R. J. Thomas*, “Hybrid Nanostructures for the Efficiency of Dye-Sensitized Solar Cells” International Conference on Advancement of Nanoscience and Nanotechnology (ICOANN)-2010, Karaikudi, India.
1. R. Agarwal, R. K. Ulaganathan, A. Baheti, K. R. J. Thomas*. “Interaction of TiO2 Nanoparticles in Organic Dye for Dye-Sensitized Solar Cell” Modern Trends Inorganic Chemistry (MTIC-X111)-2009, IISC, Bangalore, India.